(What to do)
Now quote all of the rows further below unchanged.

(Given)
=====
## HoOF (GGA-PBE)

Data for HoOF after structural relaxation.

- Symmetry: No. 61
- Crystal system: orthorhombic
- E: -7.687 eV per atom

a b c (Å): 5.5435 10.7702 10.6284
angles (deg): 90.00 90.00 90.00
Atoms (fractional coordinates):
1 Ho 0.1639 0.0276 0.1343
2 Ho 0.1639 0.4724 0.6343
3 Ho 0.1809 0.2358 0.3875
4 Ho 0.1809 0.2642 0.8875
5 Ho 0.3191 0.7358 0.3875
6 Ho 0.3191 0.7642 0.8875
7 Ho 0.3361 0.5276 0.1343
8 Ho 0.3361 0.9724 0.6343
9 Ho 0.6639 0.0276 0.3657
10 Ho 0.6639 0.4724 0.8657
11 Ho 0.6809 0.2358 0.1125
12 Ho 0.6809 0.2642 0.6125
13 Ho 0.8191 0.7358 0.1125
14 Ho 0.8191 0.7642 0.6125
15 Ho 0.8361 0.5276 0.3657
16 Ho 0.8361 0.9724 0.8657
17 O 0.0632 0.6299 0.5050
18 O 0.0632 0.8701 0.0050
19 O 0.0720 0.6440 0.2429
20 O 0.0720 0.8560 0.7429
21 O 0.4280 0.1440 0.2429
22 O 0.4280 0.3560 0.7429
23 O 0.4368 0.1299 0.5050
24 O 0.4368 0.3701 0.0050
25 O 0.5632 0.6299 0.9950
26 O 0.5632 0.8701 0.4950
27 O 0.5720 0.6440 0.2571
28 O 0.5720 0.8560 0.7571
29 O 0.9280 0.1440 0.2571
30 O 0.9280 0.3560 0.7571
31 O 0.9368 0.1299 0.9950
32 O 0.9368 0.3701 0.4950
33 F 0.0723 0.6166 0.9879
34 F 0.0723 0.8834 0.4879
35 F 0.1111 0.1022 0.7570
36 F 0.1111 0.3978 0.2570
37 F 0.3889 0.6022 0.7570
38 F 0.3889 0.8978 0.2570
39 F 0.4277 0.1166 0.9879
40 F 0.4277 0.3834 0.4879
41 F 0.5723 0.6166 0.5121
42 F 0.5723 0.8834 0.0121
43 F 0.6111 0.1022 0.7430
44 F 0.6111 0.3978 0.2430
45 F 0.8889 0.6022 0.7430
46 F 0.8889 0.8978 0.2430
47 F 0.9277 0.1166 0.5121
48 F 0.9277 0.3834 0.0121

## Tb3Pd4Pb (GGA-PBE)

Data for Tb3Pd4Pb after structural relaxation.

- Symmetry: No. 6
- Crystal system: monoclinic
- E: -5.569 eV per atom

a b c (Å): 5.5998 4.4969 6.9785
angles (deg): 90.00 91.54 90.00
Atoms (fractional coordinates):
1 Tb 0.0000 0.0000 0.0000
2 Tb 0.2348 0.0000 0.5064
3 Tb 0.7268 0.5000 0.3619
4 Pd 0.0217 0.5000 0.7231
5 Pd 0.2093 0.5000 0.2243
6 Pd 0.5124 0.0000 0.1387
7 Pd 0.7250 0.0000 0.6361
8 Pb 0.5105 0.5000 0.8590

## CuNiAgB (GGA-PBE)

Data for CuNiAgB after structural relaxation.

- Symmetry: No. 216
- Crystal system: cubic
- E above lowest polymorph: 0 meV/atom

a b c (Å): 4.0591 4.0591 4.0591
angles (deg): 60.00 60.00 60.00
Atoms (fractional coordinates):
1 Cu 0.0000 0.0000 0.0000
2 Ni 0.5000 0.5000 0.5000
3 Ag 0.7500 0.7500 0.7500
4 B 0.2500 0.2500 0.2500

~~~~~

(1)
Entry from Alexandria: a relaxed MgCoSb2 crystal (PBE).

Output
The value obtained for the raw formation energy is 0.950 eV/f.u. Its crystal system is tetragonal.

Cell: 5.671 5.671 5.671 Å, 137.88 137.88 61.08°
Fractional positions:
1 Mg 0.750 0.250 0.500
2 Sb 0.250 0.750 0.500
3 Sb 0.000 0.000 0.000
4 Co 0.500 0.500 0.000

***

(2)
Entry from Alexandria: a relaxed MgCo2Sb2 crystal (PBE).

Output
The value obtained for the raw formation energy is 1.108 eV/f.u. Its crystal system is tetragonal.

Cell: 4.539 4.539 5.700 Å, 66.54 66.54 90.00°
Fractional positions:
1 Co 0.619 0.619 0.762
2 Co 0.381 0.381 0.238
3 Sb 0.750 0.250 0.500
4 Sb 0.250 0.750 0.500
5 Mg 0.000 0.000 0.000

***

(3)
Entry from Alexandria: a relaxed MgCo2Sb2 crystal (PBE).

Output
The value obtained for the raw formation energy is 0.869 eV/f.u. Its crystal system is tetragonal.

Cell: 7.558 7.558 3.089 Å, 90.00 90.00 90.00°
Fractional positions:
1 Sb 0.347 0.847 0.000
2 Sb 0.153 0.347 0.000
3 Sb 0.847 0.653 0.000
4 Sb 0.653 0.153 0.000
5 Mg 0.500 0.500 0.000
6 Mg 0.000 0.000 0.000
7 Co 0.133 0.633 0.500
8 Co 0.867 0.367 0.500
9 Co 0.633 0.867 0.500
10 Co 0.367 0.133 0.500

***

(4)
Entry from Alexandria: a relaxed MgCoSb2 crystal (PBE).

Output
The value obtained for the raw formation energy is 0.726 eV/f.u. Its crystal system is tetragonal.

Cell: 6.592 6.592 6.867 Å, 61.31 61.31 90.00°
Fractional positions:
1 Sb 0.686 0.125 0.250
2 Sb 0.875 0.936 0.750
3 Sb 0.375 0.314 0.750
4 Sb 0.064 0.625 0.250
5 Mg 0.500 0.500 0.000
6 Mg 0.250 0.750 0.500
7 Co 0.000 0.000 0.000
8 Co 0.750 0.250 0.500

***

(5)
Entry from Alexandria: a relaxed Mg2Co2Sb crystal (PBE).

Output
=====

(Result)
## HoOF (GGA-PBE)

Data for HoOF after structural relaxation.

- Symmetry: No. 61
- Crystal system: orthorhombic
- E: -7.687 eV per atom

a b c (Å): 5.5435 10.7702 10.6284
angles (deg): 90.00 90.00 90.00
Atoms (fractional coordinates):
1 Ho 0.1639 0.0276 0.1343
2 Ho 0.1639 0.4724 0.6343
3 Ho 0.1809 0.2358 0.3875
4 Ho 0.1809 0.2642 0.8875
5 Ho 0.3191 0.7358 0.3875
6 Ho 0.3191 0.7642 0.8875
7 Ho 0.3361 0.5276 0.1343
8 Ho 0.3361 0.9724 0.6343
9 Ho 0.6639 0.0276 0.3657
10 Ho 0.6639 0.4724 0.8657
11 Ho 0.6809 0.2358 0.1125
12 Ho 0.6809 0.2642 0.6125
13 Ho 0.8191 0.7358 0.1125
14 Ho 0.8191 0.7642 0.6125
15 Ho 0.8361 0.5276 0.3657
16 Ho 0.8361 0.9724 0.8657
17 O 0.0632 0.6299 0.5050
18 O 0.0632 0.8701 0.0050
19 O 0.0720 0.6440 0.2429
20 O 0.0720 0.8560 0.7429
21 O 0.4280 0.1440 0.2429
22 O 0.4280 0.3560 0.7429
23 O 0.4368 0.1299 0.5050
24 O 0.4368 0.3701 0.0050
25 O 0.5632 0.6299 0.9950
26 O 0.5632 0.8701 0.4950
27 O 0.5720 0.6440 0.2571
28 O 0.5720 0.8560 0.7571
29 O 0.9280 0.1440 0.2571
30 O 0.9280 0.3560 0.7571
31 O 0.9368 0.1299 0.9950
32 O 0.9368 0.3701 0.4950
33 F 0.0723 0.6166 0.9879
34 F 0.0723 0.8834 0.4879
35 F 0.1111 0.1022 0.7570
36 F 0.1111 0.3978 0.2570
37 F 0.3889 0.6022 0.7570
38 F 0.3889 0.8978 0.2570
39 F 0.4277 0.1166 0.9879
40 F 0.4277 0.3834 0.4879
41 F 0.5723 0.6166 0.5121
42 F 0.5723 0.8834 0.0121
43 F 0.6111 0.1022 0.7430
44 F 0.6111 0.3978 0.2430
45 F 0.8889 0.6022 0.7430
46 F 0.8889 0.8978 0.2430
47 F 0.9277 0.1166 0.5121
48 F 0.9277 0.3834 0.0121

## Tb3Pd4Pb (GGA-PBE)

Data for Tb3Pd4Pb after structural relaxation.

- Symmetry: No. 6
- Crystal system: monoclinic
- E: -5.569 eV per atom

a b c (Å): 5.5998 4.4969 6.9785
angles (deg): 90.00 91.54 90.00
Atoms (fractional coordinates):
1 Tb 0.0000 0.0000 0.0000
2 Tb 0.2348 0.0000 0.5064
3 Tb 0.7268 0.5000 0.3619
4 Pd 0.0217 0.5000 0.7231
5 Pd 0.2093 0.5000 0.2243
6 Pd 0.5124 0.0000 0.1387
7 Pd 0.7250 0.0000 0.6361
8 Pb 0.5105 0.5000 0.8590

## CuNiAgB (GGA-PBE)

Data for CuNiAgB after structural relaxation.

- Symmetry: No. 216
- Crystal system: cubic
- E above lowest polymorph: 0 meV/atom

a b c (Å): 4.0591 4.0591 4.0591
angles (deg): 60.00 60.00 60.00
Atoms (fractional coordinates):
1 Cu 0.0000 0.0000 0.0000
2 Ni 0.5000 0.5000 0.5000
3 Ag 0.7500 0.7500 0.7500
4 B 0.2500 0.2500 0.2500

~~~~~

(1)
Entry from Alexandria: a relaxed MgCoSb2 crystal (PBE).

Output
The value obtained for the raw formation energy is 0.950 eV/f.u. Its crystal system is tetragonal.

Cell: 5.671 5.671 5.671 Å, 137.88 137.88 61.08°
Fractional positions:
1 Mg 0.750 0.250 0.500
2 Sb 0.250 0.750 0.500
3 Sb 0.000 0.000 0.000
4 Co 0.500 0.500 0.000

***

(2)
Entry from Alexandria: a relaxed MgCo2Sb2 crystal (PBE).

Output
The value obtained for the raw formation energy is 1.108 eV/f.u. Its crystal system is tetragonal.

Cell: 4.539 4.539 5.700 Å, 66.54 66.54 90.00°
Fractional positions:
1 Co 0.619 0.619 0.762
2 Co 0.381 0.381 0.238
3 Sb 0.750 0.250 0.500
4 Sb 0.250 0.750 0.500
5 Mg 0.000 0.000 0.000

***

(3)
Entry from Alexandria: a relaxed MgCo2Sb2 crystal (PBE).

Output
The value obtained for the raw formation energy is 0.869 eV/f.u. Its crystal system is tetragonal.

Cell: 7.558 7.558 3.089 Å, 90.00 90.00 90.00°
Fractional positions:
1 Sb 0.347 0.847 0.000
2 Sb 0.153 0.347 0.000
3 Sb 0.847 0.653 0.000
4 Sb 0.653 0.153 0.000
5 Mg 0.500 0.500 0.000
6 Mg 0.000 0.000 0.000
7 Co 0.133 0.633 0.500
8 Co 0.867 0.367 0.500
9 Co 0.633 0.867 0.500
10 Co 0.367 0.133 0.500

***

(4)
Entry from Alexandria: a relaxed MgCoSb2 crystal (PBE).

Output
The value obtained for the raw formation energy is 0.726 eV/f.u. Its crystal system is tetragonal.

Cell: 6.592 6.592 6.867 Å, 61.31 61.31 90.00°
Fractional positions:
1 Sb 0.686 0.125 0.250
2 Sb 0.875 0.936 0.750
3 Sb 0.375 0.314 0.750
4 Sb 0.064 0.625 0.250
5 Mg 0.500 0.500 0.000
6 Mg 0.250 0.750 0.500
7 Co 0.000 0.000 0.000
8 Co 0.750 0.250 0.500

***

(5)
Entry from Alexandria: a relaxed Mg2Co2Sb crystal (PBE).

Output